Peace, luxurious comfort and an infinite distance from everyday cares.


per person

Misplaced calculated crystals
'''
## MnReBr2 (GGA-PBE)

Data for a relaxed MnReBr2 crystal.

a b c (Å): 3.063 4.414 6.007
angles (deg): 90.00 90.00 90.00
Sites, in units of the cell vectors:
Mn: 0.000 0.000 0.000
Re: 0.500 0.000 0.500
Br: 0.000 0.500 0.500
Br: 0.500 0.500 0.000

* E above lowest polymorph: 830.5 meV per atom
* magnetic moment: 6.16 μB per cell
* final energy: -20.81 eV for the cell shown
'''

Peace, luxurious comfort and an infinite distance from everyday cares.

We have something special for you, luxurious and exciting African safari. Serengeti Bushtops is one of the world’s most comfortable safari destinations, in one of Africa’s most stunning locations, the Camp emerges from the heart of vast plains, surrounded by timeless vistas The package is a 4 day and 3 night tour. These is opportunitiy to rediscover insipring wildlife
safari of Africa , with each adventure balanced by time spent leisure.

~~~
The following is a PBE calculation of an optimized crystal structure of Rb2ErGaTe4, from the Alexandria database.

Cell: 7.3855 7.3855 7.3855 Å, 104.52 104.52 119.91°
With the nearest neighbours (Å) after each atom.
Atoms (fractional coordinates):
Rb (0.0000, 0.5000, 0.5000)  2 Rb 3.70, 8 Te 3.75-3.94
Rb (0.5000, 0.0000, 0.5000)  2 Rb 3.70, 8 Te 3.75-3.94
Er (0.0000, 0.0000, 0.0000)  4 Te 2.95
Ga (0.5000, 0.5000, 0.0000)  4 Te 2.70
Te (0.1092, 0.1092, 0.6661)  1 Ga 2.70, 1 Er 2.95
Te (0.4431, 0.4431, 0.3339)  1 Ga 2.70, 1 Er 2.95
Te (0.5569, 0.8908, 0.0000)  1 Ga 2.70, 1 Er 2.95
Te (0.8908, 0.5569, 0.0000)  1 Ga 2.70, 1 Er 2.95

Calculated values
Raw total energy: -3.7062 eV per atom
E_form (uncorrected): -945 meV/atom
M_tot: 0.00 μB per atom

=====

The following is a PBE calculation of an optimized crystal structure of Hf5NO, from the Alexandria database.

Cell: 5.7446 5.7446 8.6537 Å, 110.44 110.44 81.97°
With the nearest neighbours (Å) after each atom.
Atoms (fractional coordinates):
Hf (0.1162, 0.6769, 0.3500)  1 O 2.08, 1 N 2.21
Hf (0.2383, 0.3355, 0.0049)  1 N 2.27, 1 O 2.45
Hf (0.2419, 0.7581, 0.7500)  1 O 2.05, 2 N 2.25
Hf (0.3231, 0.8838, 0.1500)  1 O 2.08, 1 N 2.21
Hf (0.3355, 0.2383, 0.5049)  1 N 2.27, 1 O 2.45
Hf (0.6645, 0.7617, 0.4951)  1 N 2.27, 1 O 2.45
Hf (0.6769, 0.1162, 0.8500)  1 O 2.08, 1 N 2.21
Hf (0.7581, 0.2419, 0.2500)  1 O 2.05, 2 N 2.25
Hf (0.7617, 0.6645, 0.9951)  1 N 2.27, 1 O 2.45
Hf (0.8838, 0.3231, 0.6500)  1 O 2.08, 1 N 2.21
N (0.0000, 0.5000, 0.5000)  6 Hf 2.21-2.27
N (0.5000, 0.0000, 0.0000)  6 Hf 2.21-2.27
O (0.0301, 0.9699, 0.2500)  3 Hf 2.05-2.08
O (0.9699, 0.0301, 0.7500)  3 Hf 2.05-2.08

Calculated values
Raw total energy: -9.9892 eV per atom
E_form (uncorrected): -982 meV/atom
M_tot: 0.00 μB per atom

=====

The following is a PBE calculation of an optimized crystal structure of Ac5Pr12Sm3, from the Alexandria database.

Cell: 16.9734 16.9734 16.9734 Å, 109.47 109.47 109.47°
With the nearest neighbours (Å) after each atom.
Atoms (fractional coordinates):
Ac (0.0000, 0.0000, 0.0000)  6 Pr 3.37
Ac (0.0000, 0.0000, 0.5000)  6 Pr 3.37
Ac (0.0000, 0.5000, 0.0000)  6 Pr 3.37
Ac (0.0000, 0.5000, 0.5000)  6 Pr 3.37
Ac (0.1250, 0.7500, 0.8750)  4 Pr 3.55
Ac (0.1250, 0.8750, 0.2500)  4 Pr 3.55
Ac (0.2500, 0.1250, 0.8750)  4 Pr 3.55
Ac (0.2500, 0.6250, 0.3750)  4 Pr 3.55
Ac (0.3750, 0.2500, 0.6250)  4 Pr 3.55
Ac (0.3750, 0.6250, 0.7500)  4 Pr 3.55
Ac (0.5000, 0.0000, 0.0000)  6 Pr 3.37
Ac (0.5000, 0.0000, 0.5000)  6 Pr 3.37
Ac (0.5000, 0.5000, 0.0000)  6 Pr 3.37
Ac (0.5000, 0.5000, 0.5000)  6 Pr 3.37
Ac (0.6250, 0.3750, 0.2500)  4 Pr 3.55
Ac (0.6250, 0.7500, 0.3750)  4 Pr 3.55
Ac (0.7500, 0.3750, 0.6250)  4 Pr 3.55
Ac (0.7500, 0.8750, 0.1250)  4 Pr 3.55
Ac (0.8750, 0.1250, 0.7500)  4 Pr 3.55
Ac (0.8750, 0.2500, 0.1250)  4 Pr 3.55
Pr (0.0586, 0.6427, 0.4065)  1 Sm 3.19, 1 Pr 3.30, 2 Ac 3.37-3.55
Pr (0.0586, 0.9159, 0.6521)  1 Sm 3.19, 1 Pr 3.30, 2 Ac 3.37-3.55
~~~
**So much for the data records:**


Having flown in from Nairobi, Arusha or Kilimanjaro, the staff will meet you at Kogatende Airstrip (in the north western Serengeti). After your short drive from the airstrip to the camp, a leisurely lunch is followed by time acclimatizing, gazing around yourself and realising you’ve just arrived in the heart of the African Bush! As you settle in, you might swim in the pool, enjoy a massage on your private deck or simply stare blissfully into the distance. Then a late afternoon drive gives you the chance to explore the local wildlife and enjoy a drink against the setting sun, before heading for the wonders of a Serengeti Bushtops dinner.

_Between two parts of the entry: crystal structures_
'''
The following is a DFT calculation (PBE) of a relaxed La2Ga3Ni12Pt crystal.

The structure in POSCAR format:
```
La2Ga3Ni12Pt
1.0
9.230 1.875 1.330
6.189 7.100 1.330
6.189 3.602 6.261
Ni Ga Pt La
12 3 1 2
Cartesian
16.320 9.500 5.026
5.287 4.693 1.617
14.915 10.298 7.304
9.056 6.636 4.707
6.692 2.280 1.617
12.552 5.941 4.214
10.243 4.597 4.707
16.320 7.884 7.304
5.287 3.078 3.895
11.365 6.615 6.139
11.365 7.980 4.214
10.243 5.962 2.782
4.615 0.938 0.665
3.094 3.550 0.665
3.094 1.801 3.131
0.000 0.000 0.000
13.894 8.088 5.736
7.713 4.490 3.185
```

Summary:
Space group ... R-3m
Final energy ... -5.256 eV/atom
ΔE_f ... -0.014 eV/atom
Calculated volume ... 15.56 A^3/atom

=====

Entry from Alexandria via LeMat-Bulk: a relaxed structure of Cd2Ga2Se (PBE).

Unit cell a=7.4839 b=7.4839 c=4.1698 alpha=90.00 beta=90.00 gamma=90.00
With the nearest neighbours (Å) after each atom.
Element x y z (fractional)
Cd  0.1395  0.3605  0.0000  2 Se 2.89, 1 Cd 2.95, 6 Ga 2.97-3.07
Cd  0.3605  0.8605  0.0000  2 Se 2.89, 1 Cd 2.95, 6 Ga 2.97-3.07
Cd  0.6395  0.1395  0.0000  2 Se 2.89, 1 Cd 2.95, 6 Ga 2.97-3.07
Cd  0.8605  0.6395  0.0000  2 Se 2.89, 1 Cd 2.95, 6 Ga 2.97-3.07
Ga  0.1612  0.6612  0.5000  6 Cd 2.97-3.07
Ga  0.3388  0.1612  0.5000  6 Cd 2.97-3.07
Ga  0.6612  0.8388  0.5000  6 Cd 2.97-3.07
Ga  0.8388  0.3388  0.5000  6 Cd 2.97-3.07
Se  0.0000  0.0000  0.0000  4 Cd 2.89
Se  0.5000  0.5000  0.0000  4 Cd 2.89

Output
Uncorrected formation energy ... 0.036 eV per atom
DFT total energy ... -2.24 eV per atom

***

Entry from Alexandria via LeMat-Bulk: a relaxed structure of K3Tb2CeS6 (PBE).

Unit cell a=7.1421 b=7.1421 c=7.7441 alpha=98.84 beta=98.84 gamma=120.00
With the nearest neighbours (Å) after each atom.
Element x y z (fractional)
K  0.0000  0.0000  0.0000  6 S 3.19-3.25
K  0.3338  0.6662  0.0000  6 S 3.20-3.25
K  0.6662  0.3338  0.0000  6 S 3.20-3.25
Tb  0.1667  0.8333  0.5000  6 S 2.79
Tb  0.8333  0.1667  0.5000  6 S 2.79
Ce  0.5000  0.5000  0.5000  6 S 2.86
S  0.0918  0.4322  0.2966  2 Tb 2.79, 1 Ce 2.86
S  0.2274  0.2274  0.7035  2 Tb 2.79, 1 Ce 2.86
S  0.4322  0.0918  0.2966  2 Tb 2.79, 1 Ce 2.86
S  0.5678  0.9082  0.7034  2 Tb 2.79, 1 Ce 2.86
S  0.7726  0.7726  0.2965  2 Tb 2.79, 1 Ce 2.86
S  0.9082  0.5678  0.7034  2 Tb 2.79, 1 Ce 2.86

Output
Uncorrected formation energy ... -1.851 eV per atom
DFT total energy ... -5.46 eV per atom
'''
_End of the crystal structures_


After breakfast on your second day you set out for a full day’s game drive, including a sumptuous buffet lunch within the Serengeti National Park. This day-long adventure is likely to be the highlight of your stay, as the wonders of the Serengeti reveal themselves. With your own private hot tub and glass of something special that awaits your return to camp. It’s the ideal way to wind down before dinner.


On day three, the earlier you rise the more you will see along the Mara river (the divide between the Serengeti in Tanzania and the Mara in Kenya). After a Bush breakfast you return to camp at midday, to catch up on your beauty sleep. Alternatively (having pre-booked) you might choose an early morning balloon safari, which concludes with a champagne breakfast in the midst of the grasslands. In the afternoon, you can take life easy, enjoying the facilities at Serengeti Bushtops, lounging in your tent, heading for a swim or being pampered in the privacy of your verandah with a relaxing massage. Then perhaps an evening game drive beckons. As always, dinner provides a sumptuous counterpoint to the wildness of the day’s experiences.


One last natural wonder is left: the drive to the airstrip. This is your last opportunity to find something special in the landscape, so your ranger and spotter will be as keen as you are to pick out a final attraction to be captured as a parting memory, or on film forever. Finding something previously unseen makes the transition both pleasurable and poignant, ideally tempting you to start thinking that this is not the end of your African adventure.